
Remarks of Doreen Bogdan-Martin, ITU BDT Director, at the Road to Addis – Finance2Connect Webinar on Innovative Ways to Finance Connectivity

Financing connectivity has been recognized as a key priority in the UN Roadmap for Digital Cooperation Working Group on Universal Connectivity and in the Broadband Commission Working Group on 21st Century Financing Models.

This session of the Road to Addis explored some innovative financing models and their application as well as some good practices and lessons learned in financing connectivity for sustainable development.

Here the text breaks off for records of crystals.
-- begin --
No. 1
VASP calculation (GGA-PBE) on an optimized crystal structure of Rb14Si10O17.

Summary:
final energy: -5.61 eV per atom
calculated formation energy: -8654 kJ/mol of formula units

a b c (Å): 14.7304 8.0002 33.1562
angles (deg): 90.00 103.56 90.00
Space group P2_1/c (No. 14)
Inequivalent atoms, fractional coordinates:
Rb1 0.0151 0.0426 0.0661 [4 per cell]
Rb2 0.0535 0.5536 0.2575 [4 per cell]
Rb3 0.0645 0.5987 0.8554 [4 per cell]
Rb4 0.0937 0.1293 0.4671 [4 per cell]
Rb5 0.1624 0.5550 0.1099 [4 per cell]
Rb6 0.1935 0.0306 0.8715 [4 per cell]
Rb7 0.2106 0.1367 0.2847 [4 per cell]
Rb8 0.2914 0.0977 0.7123 [4 per cell]
Rb9 0.2962 0.0521 0.1156 [4 per cell]
Rb10 0.3414 0.5162 0.8918 [4 per cell]
Rb11 0.3843 0.1323 0.5278 [4 per cell]
Rb12 0.4388 0.6386 0.1393 [4 per cell]
Rb13 0.4419 0.5098 0.4336 [4 per cell]
Rb14 0.4474 0.5110 0.7419 [4 per cell]
Si1 0.0138 0.7069 0.6594 [4 per cell]
Si2 0.1134 0.1411 0.1737 [4 per cell]
Si3 0.1744 0.7292 0.5202 [4 per cell]
Si4 0.2242 0.6836 0.6987 [4 per cell]
Si5 0.2299 0.7441 0.9575 [4 per cell]
Si6 0.2404 0.0143 0.9925 [4 per cell]
Si7 0.2838 0.7275 0.2982 [4 per cell]
Si8 0.3431 0.7109 0.5237 [4 per cell]
Si9 0.3888 0.1046 0.8242 [4 per cell]
Si10 0.4916 0.7378 0.3460 [4 per cell]
O1 0.0076 0.2270 0.3880 [4 per cell]
O2 0.0234 0.0041 0.1602 [4 per cell]
O3 0.0625 0.2378 0.3152 [4 per cell]
O4 0.0951 0.2357 0.7095 [4 per cell]
O5 0.1205 0.7235 0.1858 [4 per cell]
O6 0.1319 0.2265 0.1321 [4 per cell]
O7 0.2001 0.7092 0.8173 [4 per cell]
O8 0.2077 0.0213 0.1959 [4 per cell]
O9 0.2676 0.7232 0.7485 [4 per cell]
O10 0.2934 0.7473 0.6714 [4 per cell]
O11 0.2968 0.5207 0.3011 [4 per cell]
O12 0.3606 0.1966 0.8630 [4 per cell]
O13 0.3857 0.6856 0.8202 [4 per cell]
O14 0.4140 0.2230 0.7890 [4 per cell]
O15 0.4305 0.2030 0.6778 [4 per cell]
O16 0.4781 0.5280 0.3423 [4 per cell]
O17 0.4915 0.2066 0.6058 [4 per cell]

***

No. 2
VASP calculation (GGA-PBE) on an optimized crystal structure of Rb2SiO3.

Summary:
final energy: -6.00 eV per atom
calculated formation energy: -1525 kJ/mol of formula units

a b c (Å): 6.5996 13.7275 16.5773
angles (deg): 90.00 107.97 90.00
Space group P2_1/c (No. 14)
Inequivalent atoms, fractional coordinates:
Rb1 0.0072 0.0995 0.0837 [4 per cell]
Rb2 0.0987 0.6298 0.8638 [4 per cell]
Rb3 0.1323 0.1838 0.3010 [4 per cell]
Rb4 0.2803 0.0836 0.5284 [4 per cell]
Rb5 0.3573 0.0158 0.7842 [4 per cell]
Rb6 0.4542 0.1675 0.9884 [4 per cell]
Si1 0.1585 0.6395 0.6382 [4 per cell]
Si2 0.2687 0.6452 0.1086 [4 per cell]
Si3 0.4490 0.7374 0.2868 [4 per cell]
O1 0.0694 0.1068 0.8529 [4 per cell]
O2 0.1072 0.5579 0.1147 [4 per cell]
O3 0.1259 0.7500 0.0895 [4 per cell]
O4 0.2657 0.5656 0.5868 [4 per cell]
O5 0.2976 0.6903 0.3377 [4 per cell]
O6 0.3066 0.2390 0.6583 [4 per cell]
O7 0.3306 0.6597 0.7368 [4 per cell]
O8 0.3959 0.6301 0.0401 [4 per cell]
O9 0.4508 0.6632 0.2051 [4 per cell]

***

No. 3
VASP calculation (GGA-PBE) on an optimized crystal structure of Rb2Si3SnO9.

Summary:
-- stop --
Here the text continues.



Moderator: David Kirkpatrick, Founder & Editor-in-Chief, Techonomy Media

Ladies and gentlemen,

Good morning, good afternoon and good evening, and welcome to today’s session entitled Finance2Connect: Innovative Ways to Finance Connectivity, which marks our next stop on the Road to Addis.

Today, we’re going to grapple with one of the toughest questions of all: What will it cost to connect the world – and how do we find those vital investment dollars at a time when countries are still reeling from the unprecedented, ongoing economic damage inflicted by the COVID crisis?

ITU’s “Connecting Humanity” report, released last year, estimates that US$428 billion will be needed to provide connectivity to 90% of the world’s people by 2030.

In Africa alone, the UN Broadband Commission for Sustainable Development estimated that $100 billion will be needed to bring broadband to everyone on the continent within that same timeframe.

If this investment funding was hard to find pre-COVID, it is going to be even harder to mobilize post-pandemic. And yet connectivity is the vital element that will help protect nations from future crises.

The past few months have shown that the world’s most-connected countries have succeeded much better in weathering the storm. Digital confers resilience. Digital protects economic performance and preserves social cohesion. And digital drives growth. New research from ITU indicates that a 10% increase in mobile broadband translates into a per-capita GDP increase of 2% or better – with poorer regions actually enjoying the biggest ‘broadband boost’

So the big questions for our panelists today are:

  • How do we convince governments to prioritize connectivity at a time when there are so many other urgent calls on the public purse?
  • Once we have succeeded in convincing them, how can we help them find the resources they need to make their digital development strategies a reality?

As a starting point, I would suggest five broad areas of focus:

  • A top-level commitment to broadband networks as basic infrastructure, as vital to national development as transport, energy, and water networks.
  • New models for multi-stakeholder collaboration between industry, investors, governments, development finance institutions, donors, and international organizations. Our new Giga school connectivity initiative with UNICEF and a number of governments around the world is one good example.
  • Enabling regulatory policies and incentives leveraging the principles of 5th generation ‘collaborative regulation’ to create investment-friendly environments.
  • A Whole-of-Government approach whereby large-scale centralized government digital infrastructure projects are funded by substantial long-term savings for each government department, and
  • An openness to emerging technologies, like blockchain, which provide new ways to monitor, measure and manage digital resources.

At the high-level debate on digital cooperation convened by the President of the General Assembly yesterday, I stressed the urgent need for the global community to work creatively with the private sector to forge entirely new paradigms to drive digital development.

This will be the key focus of ITU’s upcoming World Telecommunication Development Conference, which will bring together not just 193 governments, but ITU’s 800 private sector members, and national, regional and international financing and development institutions.

Right now, according to the OECD, out of $379 trillion in global financial assets, 81% are in high income countries, 19% in middle income countries and less than 1% in low income countries.

How can we change this picture, and help investment flow into areas where it is needed most? Are there creative ways to leverage the Universal Service Funds that over 80 nations have established, but which are sometimes languishing untapped? And what about the potential of emerging new types of investments, such as the estimated $US2 trillion held in cryptocurrencies?

/*
Ca2Al3O8: relaxed, GGA-PBE.

## Properties
energy relative to the elements = -2.96 eV per atom
polymorph energy (0 for the lowest one) = 0.0 meV/atom
energy with MP2020 corrections = -7.18 eV/atom
spin magnetization = 3.00 μB per formula unit

a = 7.8391 Å, b = 7.8391 Å, c = 7.8391 Å
α = 109.47°, β = 109.47°, γ = 109.47°
With the nearest neighbours (Å) after each atom.
Fractional coordinates of all 26 atoms:
Ca: 0.0000 0.0000 0.6564  3 O 2.29
Ca: 0.0000 0.6564 0.0000  3 O 2.29
Ca: 0.3436 0.3436 0.3436  3 O 2.29
Ca: 0.6564 0.0000 0.0000  3 O 2.29
Al: 0.2500 0.5000 0.7500  4 O 1.77
Al: 0.2500 0.7500 0.5000  4 O 1.77
Al: 0.5000 0.2500 0.7500  4 O 1.77
Al: 0.5000 0.7500 0.2500  4 O 1.77
Al: 0.7500 0.2500 0.5000  4 O 1.77
Al: 0.7500 0.5000 0.2500  4 O 1.77
O: 0.0000 0.0000 0.1676  3 O 2.15
O: 0.0000 0.1676 0.0000  3 O 2.15
O: 0.0000 0.4347 0.7229  2 Al 1.77
O: 0.0000 0.7229 0.4347  2 Al 1.77
O: 0.1676 0.0000 0.0000  3 O 2.15
O: 0.2771 0.2771 0.7119  2 Al 1.77
O: 0.2771 0.7119 0.2771  2 Al 1.77
O: 0.2881 0.5653 0.5653  2 Al 1.77
O: 0.4347 0.0000 0.7229  2 Al 1.77
O: 0.4347 0.7229 0.0000  2 Al 1.77
O: 0.5653 0.2881 0.5653  2 Al 1.77
O: 0.5653 0.5653 0.2881  2 Al 1.77
O: 0.7119 0.2771 0.2771  2 Al 1.77
O: 0.7229 0.0000 0.4347  2 Al 1.77
O: 0.7229 0.4347 0.0000  2 Al 1.77
O: 0.8324 0.8324 0.8324  3 O 2.15



Ca2CuCN2O2: relaxed, GGA-PBE.

## Properties
energy relative to the elements = -1.39 eV per atom
energy with MP2020 corrections = -6.87 eV/atom
spin magnetization = 0.01 μB per formula unit

a = 3.7541 Å, b = 3.7541 Å, c = 7.8816 Å
α = 90.00°, β = 90.00°, γ = 90.00°
With the nearest neighbours (Å) after each atom.
Fractional coordinates of all 8 atoms:
Ca: 0.0000 0.0000 0.2017  4 O 2.46
Ca: 0.0000 0.0000 0.7983  4 O 2.46
Cu: 0.5000 0.5000 0.0000  4 O 1.88
C: 0.5000 0.5000 0.5000  2 N 1.25
N: 0.5000 0.5000 0.3419  1 C 1.25
N: 0.5000 0.5000 0.6581  1 C 1.25
O: 0.0000 0.5000 0.0000  2 Cu 1.88
O: 0.5000 0.0000 0.0000  2 Cu 1.88



Cs2YTlF6: relaxed, GGA-PBE.

## Properties
energy relative to the elements = -3.36 eV per atom
energy with MP2020 corrections = -5.57 eV/atom

a = 6.9420 Å, b = 6.9420 Å, c = 6.9420 Å
α = 60.00°, β = 60.00°, γ = 60.00°
With the nearest neighbours (Å) after each atom.
Fractional coordinates of all 10 atoms:
Cs: 0.2500 0.2500 0.2500  12 F 3.48
Cs: 0.7500 0.7500 0.7500  12 F 3.48
Y: 0.0000 0.0000 0.0000  6 F 2.19
Tl: 0.5000 0.5000 0.5000  6 F 2.71
F: 0.2235 0.2235 0.7765  1 Y 2.19
F: 0.2235 0.7765 0.2235  1 Y 2.19
F: 0.2235 0.7765 0.7765  1 Y 2.19
F: 0.7765 0.2235 0.2235  1 Y 2.19
F: 0.7765 0.2235 0.7765  1 Y 2.19
F: 0.7765 0.7765 0.2235  1 Y 2.19



BaTbO3: relaxed, GGA-PBE.

## Properties
energy relative to the elements = -3.11 eV per atom
energy with MP2020 corrections = -7.39 eV/atom
spin magnetization = 1.00 μB per formula unit

a = 6.1783 Å, b = 6.2281 Å, c = 6.2730 Å
α = 60.57°, β = 63.05°, γ = 60.96°
With the nearest neighbours (Å) after each atom.
Fractional coordinates of all 10 atoms:
*/
_The materials data stop here_

Without further ado, it gives me great pleasure to welcome today’s outstanding panel of experts, who will share their views on the most effective and powerful ways to rapidly re-energize digital investment.

I encourage everyone in our audience today to also feel free to participate in our conversation by sharing your ideas and actionable solutions to accelerate efforts to reach unconnected communities via our chat function.